Job:
Restate the whole of the rows underneath without additions.

File:
/*
Entry from the Open Molecules 2025 dataset: a structure of composition C38H42BCl5N2O2PSiTa (wB97M-V/def2-TZVPD).

Geometry as XYZ:
```
93
Properties=species:S:1:pos:R:3
Ta -0.87 0.57 0.55
Cl -3.47 0.97 2.39
C -2.28 2.20 2.68
C -1.05 2.10 2.03
C -0.06 3.00 2.40
Cl 1.51 2.79 1.71
C -0.27 4.00 3.33
Cl 0.97 5.09 3.74
C -1.53 4.10 3.94
Cl -1.82 5.32 5.08
C -2.54 3.18 3.63
Cl -4.06 3.26 4.40
C -6.52 3.22 -0.20
C -5.23 3.62 0.14
C -4.17 2.77 -0.10
C -4.39 1.52 -0.68
C -5.68 1.13 -1.04
C -6.74 1.99 -0.79
P -2.96 0.54 -1.13
C -3.20 -1.21 -0.82
C -4.21 -1.69 0.01
C -4.22 -3.02 0.38
C -3.23 -3.88 -0.07
C -2.22 -3.41 -0.90
C -2.19 -2.08 -1.27
C -2.76 0.84 -2.90
C -2.78 -0.17 -3.85
C -2.64 0.15 -5.20
C -2.49 1.47 -5.59
C -2.49 2.49 -4.64
C -2.63 2.18 -3.30
H -7.36 3.89 0.00
H -5.07 4.59 0.60
H -3.16 3.07 0.18
H -5.86 0.18 -1.53
H -7.75 1.69 -1.06
H -4.98 -1.02 0.38
H -5.01 -3.39 1.03
H -3.24 -4.92 0.22
H -1.44 -4.08 -1.25
H -1.38 -1.71 -1.89
H -2.91 -1.20 -3.56
H -2.67 -0.63 -5.94
H -2.38 1.72 -6.64
H -2.40 3.52 -4.95
H -2.69 2.98 -2.56
C 7.59 0.03 -0.62
C 7.03 -1.32 -1.05
C 7.38 -1.54 -2.53
C 7.70 -2.42 -0.20
C 5.52 -1.40 -0.88
C 4.85 -2.60 -1.17
C 3.47 -2.76 -1.04
C 2.77 -1.65 -0.62
O 1.40 -1.51 -0.39
B 1.25 -0.20 0.04
O 2.45 0.47 0.08
C 3.41 -0.47 -0.34
C 4.77 -0.30 -0.46
H 8.68 0.02 -0.73
H 7.37 0.24 0.43
H 7.20 0.85 -1.23
H 8.47 -1.51 -2.66
H 6.94 -0.76 -3.15
H 7.03 -2.51 -2.89
H 8.78 -2.34 -0.28
H 7.41 -3.42 -0.53
*/

Done:
Entry from the Open Molecules 2025 dataset: a structure of composition C38H42BCl5N2O2PSiTa (wB97M-V/def2-TZVPD).

Geometry as XYZ:
```
93
Properties=species:S:1:pos:R:3
Ta -0.87 0.57 0.55
Cl -3.47 0.97 2.39
C -2.28 2.20 2.68
C -1.05 2.10 2.03
C -0.06 3.00 2.40
Cl 1.51 2.79 1.71
C -0.27 4.00 3.33
Cl 0.97 5.09 3.74
C -1.53 4.10 3.94
Cl -1.82 5.32 5.08
C -2.54 3.18 3.63
Cl -4.06 3.26 4.40
C -6.52 3.22 -0.20
C -5.23 3.62 0.14
C -4.17 2.77 -0.10
C -4.39 1.52 -0.68
C -5.68 1.13 -1.04
C -6.74 1.99 -0.79
P -2.96 0.54 -1.13
C -3.20 -1.21 -0.82
C -4.21 -1.69 0.01
C -4.22 -3.02 0.38
C -3.23 -3.88 -0.07
C -2.22 -3.41 -0.90
C -2.19 -2.08 -1.27
C -2.76 0.84 -2.90
C -2.78 -0.17 -3.85
C -2.64 0.15 -5.20
C -2.49 1.47 -5.59
C -2.49 2.49 -4.64
C -2.63 2.18 -3.30
H -7.36 3.89 0.00
H -5.07 4.59 0.60
H -3.16 3.07 0.18
H -5.86 0.18 -1.53
H -7.75 1.69 -1.06
H -4.98 -1.02 0.38
H -5.01 -3.39 1.03
H -3.24 -4.92 0.22
H -1.44 -4.08 -1.25
H -1.38 -1.71 -1.89
H -2.91 -1.20 -3.56
H -2.67 -0.63 -5.94
H -2.38 1.72 -6.64
H -2.40 3.52 -4.95
H -2.69 2.98 -2.56
C 7.59 0.03 -0.62
C 7.03 -1.32 -1.05
C 7.38 -1.54 -2.53
C 7.70 -2.42 -0.20
C 5.52 -1.40 -0.88
C 4.85 -2.60 -1.17
C 3.47 -2.76 -1.04
C 2.77 -1.65 -0.62
O 1.40 -1.51 -0.39
B 1.25 -0.20 0.04
O 2.45 0.47 0.08
C 3.41 -0.47 -0.34
C 4.77 -0.30 -0.46
H 8.68 0.02 -0.73
H 7.37 0.24 0.43
H 7.20 0.85 -1.23
H 8.47 -1.51 -2.66
H 6.94 -0.76 -3.15
H 7.03 -2.51 -2.89
H 8.78 -2.34 -0.28
H 7.41 -3.42 -0.53